Sponsored by the Pontifical Institute for Foreign Missions, filmmaker Bill Deneen traveled three days by bullock cart to the remote leper colony run by Father Cesare Columbo in Kengtung (Kyiang Tong), Burma. Intended to be a film to be used for fundraising, the film is a fascinating documentary about a humanitarian effort that would soon be terminated by the Burmese government. The film is a precursor to 'Happy City'(also available on the Internet Archive), which Deneen made on Father Columbo's mission approximately five years later.
In mid-2003 AFA director Geoff Alexander went to Kengtung, Burma, to see what had become of the hospital and programs. Here is his report: Kengtung (Kyiang Tong) is best accessed by air, as much of the surrounding area is essentially a war-zone, populated by armies from Burma, separatist movements, and drug traders. The city itself has no electricity for much of the day and night, and a cold beer is not to be found here. I took a motorcycle taxi to the Catholic mission, and asked for the person in charge, who happened to be, at the moment, Vicar Mario Matu. He was aware of Father Colombo, and offered to take me to Columbo’s hospital, which still has patients, and where a nun who had worked with Columbo still lived. The hospital in the film sits just outside the village of Naung Kan, seven miles from Kengtung. Now referred to as Hansen’s Disease, leprosy is a condition that effectively eats away at skin and bone. The 395 patients are mostly older, with the youngest being 12, and the average age at 30.
Many of the elderly patients, ravished by the disease, move as best they can by pulling themselves along the ground with what remains of their arms. Many are blind as well. Younger patients fare better, as the disease is easier to eradicate before it has progressed to an extensive state. The hospital is designed so family members of the patients live on the grounds as well, in separate quarters. After release, patients and their families typically move to Kengtung. In terms of economics, the drugs to support the hospital cost $1,250 per month, and the Burmese government contributes roughly $5 per month. Funding, which in a good month will support the hospital, is received from a Catholic group (PIME) which supports the hospital. The buildings built by Columbo still stand, although the upper story of the original hospital has been condemned. Columbo’s original operating room, seen in the film, sits undisturbed as a testimony to his memory.
_Materials data, kept here for reference_
........
[1]
Density functional theory data (PBE-GGA) for a geometry-optimized Pu2IrN structure.

**V**: 18.5 Å³ per atom
**DOS at the Fermi energy**: 12.14 states/eV/cell
**Energy relative to the lowest polymorph listed for this composition**: 0.0000 eV/atom

Cell lengths 3.5978, 3.5978, 6.9142 Å; angles 74.92, 74.92, 60.00 degrees
Site moments in Bohr magnetons follow the coordinates.
Atoms (fractional coordinates):
Pu  0.7634  0.7634  0.7097  5.01
Pu  0.2366  0.2366  0.2903  5.01
N  0.5000  0.5000  0.5000  -0.21
Ir  0.0000  0.0000  0.0000  -0.48

=====

[2]
Density functional theory data (PBE-GGA) for a geometry-optimized PuIrN structure.

**Final energy**: -66.7 eV/cell
**V**: 16.0 Å³ per atom
**DOS at the Fermi energy**: 16.63 states/eV/cell

Cell lengths 4.9407, 4.9407, 3.9251 Å; angles 90.00, 90.00, 90.00 degrees
Site moments in Bohr magnetons follow the coordinates.
Atoms (fractional coordinates):
Pu  0.0000  0.0000  0.0000  4.83
Pu  0.5000  0.5000  0.0000  4.83
N  0.5000  0.0000  0.0004  -0.14
N  0.0000  0.5000  0.9996  -0.14
Ir  0.0000  0.5000  0.4996  -0.28
Ir  0.5000  0.0000  0.5004  -0.28

=====

[3]
Density functional theory data (PBE-GGA) for a geometry-optimized PuSiIrN structure.

**Final energy**: -81.9 eV/cell
**V**: 15.8 Å³ per atom
**DOS at the Fermi energy**: 17.66 states/eV/cell

Cell lengths 3.9517, 3.9517, 8.0860 Å; angles 90.00, 90.00, 90.00 degrees
Site moments in Bohr magnetons follow the coordinates.
Atoms (fractional coordinates):
N  0.5000  0.0000  0.8783  -0.14
N  0.0000  0.5000  0.1217  -0.14
Si  0.0000  0.5000  0.3387  -0.01
Si  0.5000  0.0000  0.6613  -0.01
Pu  0.0000  0.5000  0.8433  5.11
Pu  0.5000  0.0000  0.1567  5.11
Ir  0.0000  0.0000  0.5000  -0.03
Ir  0.5000  0.5000  0.5000  -0.03

=====

[4]
Density functional theory data (PBE-GGA) for a geometry-optimized SmPu2IrN4 structure.

**Final energy**: -164.8 eV/cell
**V**: 14.4 Å³ per atom
**DOS at the Fermi energy**: 26.52 states/eV/cell

Cell lengths 3.3752, 6.0639, 11.7207 Å; angles 90.00, 90.00, 106.16 degrees
Site moments in Bohr magnetons follow the coordinates.
Atoms (fractional coordinates):
Pu  0.3704  0.7407  0.5516  4.28
Pu  0.6296  0.2593  0.4484  4.28
Pu  0.6296  0.2593  0.0516  4.28
Pu  0.3704  0.7407  0.9484  4.28
N  0.0000  0.0000  0.5000  -0.25
N  0.2715  0.5429  0.3849  -0.16
N  0.4554  0.9107  0.7500  -0.08
N  0.2715  0.5429  0.1151  -0.16
N  0.7285  0.4571  0.8849  -0.16
N  0.7285  0.4571  0.6151  -0.16
N  0.5446  0.0893  0.2500  -0.08
N  0.0000  0.0000  0.0000  -0.25
Ir  0.8490  0.6980  0.7500  -0.23
Ir  0.1510  0.3020  0.2500  -0.23
Sm  0.1106  0.2213  0.7500  0.01
Sm  0.8894  0.7787  0.2500  0.01

=====

[5]
Density functional theory data (PBE-GGA) for a geometry-optimized Sm2PuIrN4 structure.

**Final energy**: -144.5 eV/cell
**V**: 14.8 Å³ per atom
**DOS at the Fermi energy**: 11.96 states/eV/cell

Cell lengths 3.3821, 6.1083, 11.9430 Å; angles 90.00, 90.00, 106.07 degrees
Site moments in Bohr magnetons follow the coordinates.
........
For more about Kyaing Tong, Burma, visit www.wowasis.com/travelblog/?p=2076 For more on filmmaker Deneen, visit www.afana.org/deneen.htm